**Activity**
Start at the top of the contents below and quote each line, ending with the one that has "3.280 0.000".

**Given**
'''
## PuSiNi2O6 (PBE with a Hubbard U)

Data for PuSiNi2O6 after structural relaxation.

Cell and atoms, written as extended XYZ:
```
10
Lattice="-3.703 -1.141 -1.869 1.598 -5.317 0.081 -2.331 -0.624 5.001" Properties=species:S:1:pos:R:3 pbc="T T T"
Pu -2.716 -3.695 1.355
Si -2.337 -0.720 -1.179
Ni -2.491 -3.673 -1.620
Ni -4.456 -1.326 0.840
O -2.929 -2.162 -0.276
O -4.232 -2.511 2.520
O -0.946 -3.149 2.248
O -0.957 -0.295 -0.483
O -3.339 -5.485 2.565
O -2.035 -5.136 -0.231
```

Values from the calculation:
For the density of states at the Fermi level, the calculation gives 0.60 states/eV/atom. The magnetization comes out at 7.85 Bohr magnetons per cell. The calculation puts the uncorrected energy at -7.12 eV/atom. Its crystal system is tetragonal.

* * * * *

6
Lattice="-2.462 2.318 -0.997 -1.553 -2.489 -1.955 -6.262 -2.914 8.684" Properties=species:S:1:pos:R:3 comment="NaSc2Hg3 | Alexandria | PBE-GGA | relaxed" mass_density_g_cm3=8.61 delta_e_f_ev_per_atom=-0.340 sg="P4/mmm, No. 123" e_tot_ev_per_atom=-2.82 crystal_system=tetragonal dos_ef_per_ev_cell=3.7 pbc="T T T"
Hg 0.000 0.000 0.000
Sc -3.014 -0.554 -0.079
Hg -1.937 -0.901 2.686
Sc -7.262 -2.531 5.812
Hg -4.325 -2.013 5.998
Na -5.138 -1.543 2.866

4
Lattice="3.375 0.005 0.000 -1.639 2.951 0.000 0.000 0.000 9.312" Properties=species:S:1:pos:R:3 comment="Al2InBr | Alexandria | PBE-GGA | relaxed" mass_density_g_cm3=4.45 formation_energy_uncorrected_ev_per_atom=0.125 sg="Cmmm, No. 65" e_tot_ev_per_atom=-2.85 polymorph_energy_ev_per_atom=0.101 crystal_system=orthorhombic dos_ef_per_ev_cell=0.9 pbc="T T T"
Al 0.000 0.000 0.101
In 0.868 1.478 6.984
Al 0.000 0.000 4.555
Br 0.868 1.478 2.328

8
Lattice="4.966 0.000 0.000 0.000 4.966 0.000 0.000 0.000 5.000" Properties=species:S:1:pos:R:3 comment="MnGa | Alexandria | PBE-GGA | relaxed" mass_density_g_cm3=6.72 delta_e_f_ev_per_atom=0.244 sg="P4_2/mnm, No. 136" e_tot_ev_per_atom=-5.85 crystal_system=tetragonal dos_ef_per_ev_cell=5.3 pbc="T T T"
Mn 3.417 1.549 0.000
Ga 3.436 1.529 2.500
Ga 4.012 4.012 0.000
Mn 1.549 3.417 0.000
Ga 0.954 0.954 0.000
Mn 4.032 4.032 2.500
Ga 1.529 3.436 2.500
Mn 0.934 0.934 2.500

8
Lattice="4.713 0.000 0.000 0.000 4.713 0.000 2.356 2.356 7.554" Properties=species:S:1:pos:R:3 comment="GePAu2 | Alexandria | PBE-GGA | relaxed" mass_density_g_cm3=9.85 delta_e_f_ev_per_atom=0.148 sg="I-42d, No. 122" e_tot_ev_per_atom=-4.00 polymorph_energy_ev_per_atom=0.000 crystal_system=tetragonal dos_ef_per_ev_cell=2.9 pbc="T T T"
Au 3.282 1.178 1.888
Au 5.891 5.638 5.665
Ge 4.713 2.356 3.777
P 2.356 4.713 3.777
Ge 0.000 0.000 0.000
Au 3.534 3.787 5.665
Au 1.430 3.534 1.888
P 2.356 2.356 0.000

9
Lattice="6.560 0.000 0.000 0.000 7.055 0.000 0.000 -3.528 6.110" Properties=species:S:1:pos:R:3 comment="NaCaAlBr6 | Alexandria | PBE-GGA | relaxed" mass_density_g_cm3=3.34 formation_energy_uncorrected_ev_per_atom=-1.471 sg="P312, No. 149" e_tot_ev_per_atom=-3.37 crystal_system=trigonal dos_ef_per_ev_cell=0.0 pbc="T T T"
Al 3.280 0.000 0.000
Br 4.769 2.061 0.037
Br 4.769 5.993 1.766
Br 1.790 1.063 1.766
Na 0.000 0.000 4.073
Br 1.790 4.526 4.307
Ca 3.280 3.528 2.037
Br 1.790 4.994 0.037
Br 4.769 2.529 4.307

5
Lattice="-3.136 3.081 0.715 -0.887 0.151 -4.537 -3.046 -3.213 0.489" Properties=species:S:1:pos:R:3 comment="LiTiVTc2 | Alexandria | PBE-GGA | relaxed" mass_density_g_cm3=5.46 delta_e_f_ev_per_atom=0.917 sg="P4/mmm, No. 123" e_tot_ev_per_atom=-7.01 crystal_system=tetragonal dos_ef_per_ev_cell=3.8 pbc="T T T"
V 0.000 0.000 0.000
Ti -0.443 0.075 -2.268
Tc -1.568 1.541 0.358
Tc -1.523 -1.607 0.244
Li -3.534 0.009 -1.666

6
Lattice="2.057 -10.476 0.000 2.057 10.476 0.000 0.000 0.000 4.233" Properties=species:S:1:pos:R:3 comment="AsPb2 | Alexandria | PBE-GGA | relaxed" mass_density_g_cm3=8.91 delta_e_f_ev_per_atom=0.044 sg="Cmcm, No. 63" e_tot_ev_per_atom=-3.98 polymorph_energy_ev_per_atom=0.042 crystal_system=orthorhombic dos_ef_per_ev_cell=2.5 pbc="T T T"
Pb 2.057 1.402 1.058
Pb 2.057 -4.247 1.058
As 2.057 8.296 1.058
'''

**Worked solution**
## PuSiNi2O6 (PBE with a Hubbard U)

Data for PuSiNi2O6 after structural relaxation.

Cell and atoms, written as extended XYZ:
```
10
Lattice="-3.703 -1.141 -1.869 1.598 -5.317 0.081 -2.331 -0.624 5.001" Properties=species:S:1:pos:R:3 pbc="T T T"
Pu -2.716 -3.695 1.355
Si -2.337 -0.720 -1.179
Ni -2.491 -3.673 -1.620
Ni -4.456 -1.326 0.840
O -2.929 -2.162 -0.276
O -4.232 -2.511 2.520
O -0.946 -3.149 2.248
O -0.957 -0.295 -0.483
O -3.339 -5.485 2.565
O -2.035 -5.136 -0.231
```

Values from the calculation:
For the density of states at the Fermi level, the calculation gives 0.60 states/eV/atom. The magnetization comes out at 7.85 Bohr magnetons per cell. The calculation puts the uncorrected energy at -7.12 eV/atom. Its crystal system is tetragonal.

* * * * *

6
Lattice="-2.462 2.318 -0.997 -1.553 -2.489 -1.955 -6.262 -2.914 8.684" Properties=species:S:1:pos:R:3 comment="NaSc2Hg3 | Alexandria | PBE-GGA | relaxed" mass_density_g_cm3=8.61 delta_e_f_ev_per_atom=-0.340 sg="P4/mmm, No. 123" e_tot_ev_per_atom=-2.82 crystal_system=tetragonal dos_ef_per_ev_cell=3.7 pbc="T T T"
Hg 0.000 0.000 0.000
Sc -3.014 -0.554 -0.079
Hg -1.937 -0.901 2.686
Sc -7.262 -2.531 5.812
Hg -4.325 -2.013 5.998
Na -5.138 -1.543 2.866

4
Lattice="3.375 0.005 0.000 -1.639 2.951 0.000 0.000 0.000 9.312" Properties=species:S:1:pos:R:3 comment="Al2InBr | Alexandria | PBE-GGA | relaxed" mass_density_g_cm3=4.45 formation_energy_uncorrected_ev_per_atom=0.125 sg="Cmmm, No. 65" e_tot_ev_per_atom=-2.85 polymorph_energy_ev_per_atom=0.101 crystal_system=orthorhombic dos_ef_per_ev_cell=0.9 pbc="T T T"
Al 0.000 0.000 0.101
In 0.868 1.478 6.984
Al 0.000 0.000 4.555
Br 0.868 1.478 2.328

8
Lattice="4.966 0.000 0.000 0.000 4.966 0.000 0.000 0.000 5.000" Properties=species:S:1:pos:R:3 comment="MnGa | Alexandria | PBE-GGA | relaxed" mass_density_g_cm3=6.72 delta_e_f_ev_per_atom=0.244 sg="P4_2/mnm, No. 136" e_tot_ev_per_atom=-5.85 crystal_system=tetragonal dos_ef_per_ev_cell=5.3 pbc="T T T"
Mn 3.417 1.549 0.000
Ga 3.436 1.529 2.500
Ga 4.012 4.012 0.000
Mn 1.549 3.417 0.000
Ga 0.954 0.954 0.000
Mn 4.032 4.032 2.500
Ga 1.529 3.436 2.500
Mn 0.934 0.934 2.500

8
Lattice="4.713 0.000 0.000 0.000 4.713 0.000 2.356 2.356 7.554" Properties=species:S:1:pos:R:3 comment="GePAu2 | Alexandria | PBE-GGA | relaxed" mass_density_g_cm3=9.85 delta_e_f_ev_per_atom=0.148 sg="I-42d, No. 122" e_tot_ev_per_atom=-4.00 polymorph_energy_ev_per_atom=0.000 crystal_system=tetragonal dos_ef_per_ev_cell=2.9 pbc="T T T"
Au 3.282 1.178 1.888
Au 5.891 5.638 5.665
Ge 4.713 2.356 3.777
P 2.356 4.713 3.777
Ge 0.000 0.000 0.000
Au 3.534 3.787 5.665
Au 1.430 3.534 1.888
P 2.356 2.356 0.000

9
Lattice="6.560 0.000 0.000 0.000 7.055 0.000 0.000 -3.528 6.110" Properties=species:S:1:pos:R:3 comment="NaCaAlBr6 | Alexandria | PBE-GGA | relaxed" mass_density_g_cm3=3.34 formation_energy_uncorrected_ev_per_atom=-1.471 sg="P312, No. 149" e_tot_ev_per_atom=-3.37 crystal_system=trigonal dos_ef_per_ev_cell=0.0 pbc="T T T"
Al 3.280 0.000 0.000